[Source]
........
No. 1
Material: CsBa3
Method: DFT, PBE
State: relaxed

Cell lengths 6.604, 6.604, 6.604 Å; angles 90.00, 90.00, 90.00 degrees
Positions (direct):
Ba: 0.000 0.500 0.500
Ba: 0.500 0.000 0.500
Ba: 0.500 0.500 0.000
Cs: 0.000 0.000 0.000

M_tot   0.06 Bohr magnetons per cell
Energy above the most stable polymorph in this dataset   0 meV/atom
Energy of formation from the pure elements   0.16 eV/atom
Total DFT energy (no corrections)   -0.055 hartree per atom

No. 2
Material: CsBa3
Method: DFT, PBE
State: relaxed

Cell lengths 7.384, 7.384, 7.384 Å; angles 60.00, 60.00, 60.00 degrees
Positions (direct):
Ba: 0.250 0.250 0.250
Ba: 0.750 0.750 0.750
Ba: 0.500 0.500 0.500
Cs: 0.000 0.000 0.000

M_tot   0.55 Bohr magnetons per cell
Energy above the most stable polymorph in this dataset   7 meV/atom
Energy of formation from the pure elements   0.16 eV/atom
Total DFT energy (no corrections)   -0.055 hartree per atom

No. 3
Material: CsBa3
Method: DFT, PBE
State: relaxed

Cell lengths 8.208, 8.208, 8.208 Å; angles 133.40, 133.40, 68.03 degrees
Positions (direct):
Ba: 0.250 0.750 0.500
Ba: 0.500 0.500 0.000
Ba: 0.750 0.250 0.500
Cs: 0.000 0.000 0.000

M_tot   0.00 Bohr magnetons per cell
Energy above the most stable polymorph in this dataset   0 meV/atom
Energy of formation from the pure elements   0.16 eV/atom
Total DFT energy (no corrections)   -0.055 hartree per atom

No. 4
Material: CsBa2Zn2F9
Method: DFT, PBE
State: relaxed

Cell lengths 7.962, 7.962, 7.962 Å; angles 44.30, 44.30, 44.30 degrees
Positions (direct):
Zn: 0.604 0.604 0.604
Zn: 0.391 0.391 0.391
F: 0.735 0.218 0.735
F: 0.510 0.988 0.510
F: 0.265 0.265 0.772
F: 0.772 0.265 0.265
F: 0.988 0.510 0.510
F: 0.218 0.735 0.735
F: 0.510 0.510 0.988
F: 0.265 0.772 0.265
F: 0.735 0.735 0.218
Cs: 0.215 0.215 0.215
Ba: 0.792 0.792 0.792
Ba: 0.999 0.999 0.999

M_tot   0.00 Bohr magnetons per cell
Energy of formation from the pure elements   -3.30 eV/atom
Corrected total energy (MP2020 scheme)   -5.053 eV/atom
Total DFT energy (no corrections)   -0.175 hartree per atom

No. 5
Material: Cs2BaH6N2O12
Method: DFT, PBE
State: relaxed

Cell lengths 6.511, 8.293, 13.531 Å; angles 90.00, 90.00, 90.00 degrees
Positions (direct):
O: 0.480 0.288 0.670
O: 0.020 0.788 0.170
O: 0.827 0.315 0.859
O: 0.480 0.712 0.670
O: 0.980 0.212 0.830
O: 0.173 0.685 0.141
O: 0.775 0.235 0.442
O: 0.327 0.185 0.641
O: 0.775 0.765 0.442
O: 0.520 0.712 0.330
O: 0.827 0.685 0.859
O: 0.725 0.265 0.942
O: 0.173 0.315 0.141
O: 0.225 0.235 0.558
O: 0.725 0.735 0.942
O: 0.520 0.288 0.330
O: 0.275 0.735 0.058
O: 0.673 0.185 0.359
O: 0.673 0.815 0.359
O: 0.225 0.765 0.558
O: 0.327 0.815 0.641
O: 0.275 0.265 0.058
O: 0.020 0.212 0.170
O: 0.980 0.788 0.830
Cs: 0.672 0.500 0.139
Cs: 0.328 0.500 0.861
Cs: 0.828 0.000 0.639
Cs: 0.172 0.000 0.361
H: 0.978 0.599 0.610
H: 0.478 0.901 0.890
H: 0.665 0.000 0.191
H: 0.978 0.401 0.610
H: 0.335 0.000 0.809
H: 0.835 0.500 0.691
H: 0.522 0.901 0.110
H: 0.165 0.500 0.309
H: 0.022 0.599 0.390
H: 0.522 0.099 0.110
H: 0.478 0.099 0.890
H: 0.022 0.401 0.390
N: 0.384 0.000 0.880
N: 0.116 0.500 0.380
N: 0.884 0.500 0.620
N: 0.616 0.000 0.120
Ba: 0.500 0.500 0.500
Ba: 0.000 0.000 0.000

M_tot   8.01 Bohr magnetons per cell
Energy of formation from the pure elements   -0.59 eV/atom
Total DFT energy (no corrections)   -0.181 hartree per atom

No. 6
Material: CsBaI3
Method: DFT, PBE
State: relaxed

Cell lengths 5.270, 10.775, 18.820 Å; angles 90.00, 90.00, 90.00 degrees
Positions (direct):
I: 0.250 0.659 0.008
I: 0.250 0.807 0.277
I: 0.750 0.841 0.508
I: 0.750 0.970 0.106
I: 0.750 0.470 0.394
I: 0.250 0.159 0.492
I: 0.250 0.030 0.894
I: 0.750 0.193 0.723
I: 0.250 0.530 0.606
I: 0.750 0.693 0.777
I: 0.250 0.307 0.223
I: 0.750 0.341 0.992
Cs: 0.250 0.920 0.676
Cs: 0.250 0.420 0.824
Cs: 0.750 0.080 0.324
Cs: 0.750 0.580 0.176
Ba: 0.250 0.671 0.438
Ba: 0.750 0.329 0.562
Ba: 0.250 0.171 0.062
Ba: 0.750 0.829 0.938

Energy of formation from the pure elements   -1.92 eV/atom
........
[Request]
Please filter the notes further up: keep the lines with the word "dataset".
[Here it is]
Energy above the most stable polymorph in this dataset   0 meV/atom
Energy above the most stable polymorph in this dataset   7 meV/atom
Energy above the most stable polymorph in this dataset   0 meV/atom